About Beth Windisch

Beth Windisch is a national security practitioner.

Beth's website

NBN Episodes hosted by Beth:

Arie Perliger, "American Zealots: Inside Right-Wing Domestic Terrorism" (Columbia UP, 2020)

July 21, 2024

American Zealots

Arie Perliger
Hosted by Beth Windisch

In an unsettling time in American history, the outbreak of right-wing violence is among the most disturbing developments. In recent years, attacks ori…

P. W. Singer and August Cole, "Burn-in: A Novel of the Real Robotic Revolution" (Houghton Mifflin, 2020)

October 19, 2023


P. W. Singer and August Cole
Hosted by Beth Windisch

In P. W. Singer and August Cole's groundbreaking book, Burn-In: A Novel of the Real Robotic Revolution (Houghton Mifflin Harcourt, 2020), an FBI agent…

Erik J. Dahl, "The COVID-19 Intelligence Failure: Why Warning Was Not Enough" (Georgetown UP, 2023)

June 6, 2023

The COVID-19 Intelligence Failure

Erik J. Dahl
Hosted by Beth Windisch

Epidemiologists and national security agencies warned for years about the potential for a deadly pandemic, but in the end global surveillance and warn…

Aaron Y. Zelin, "Your Sons Are at Your Service: Tunisia's Missionaries of Jihad" (Columbia UP, 2020)

August 27, 2021

Your Sons Are at Your Service

Aaron Y. Zelin
Hosted by Beth Windisch

Tunisia became one of the largest sources of foreign fighters for the Islamic State—even though the country stands out as a democratic bright spot of …

Mia Bloom and Sophia Moskalenko, "Pastels and Pedophiles: Inside the Mind of QAnon" (Redwood Press, 2021)

July 26, 2021

Pastels and Pedophiles

Mia Bloom and Sophia Moskalenko
Hosted by Beth Windisch

Two experts of extremist radicalization take us down the QAnon rabbit hole, exposing how the conspiracy theory ensnared countless Americans, and show …

Séverine Autesserre, "The Frontlines of Peace: An Insider's Guide to Changing the World" (Oxford UP, 2021)

May 6, 2021

The Frontlines of Peace

Séverine Autesserre
Hosted by Beth Windisch

The word "peacebuilding" evokes a story we've all heard over and over: violence breaks out, foreign nations are scandalized, peacekeepers and million-…

Thomas David Parker, "Avoiding the Terrorist Trap: Why Respect for Human Rights is the Key to Defeating Terrorism" (World Scientific, 2019)

April 2, 2021

Avoiding the Terrorist Trap

Thomas David Parker
Hosted by Beth Windisch

Faced with a major terrorist threat, states seem to reach instinctively for the most coercive tools in their arsenal and, in doing so, risk exacerbati…

Cynthia Miller-Idriss, "Hate in the Homeland: The New Global Far Right" (Princeton UP, 2020)

December 2, 2020

Hate in the Homeland

Cynthia Miller-Idriss
Hosted by Beth Windisch

Hate crimes. Misinformation and conspiracy theories. Foiled white-supremacist plots. The signs of growing far-right extremism are all around us, and c…

Rachel M. Gillum, "Muslims in a Post-9/11 America" (U Michigan Press, 2018)

September 23, 2020

Muslims in a Post-9/11 America

Rachel M. Gillum
Hosted by Beth Windisch

Muslims in a Post-9/11 America (University of Michigan Press, 2018) examines how public fears about Muslims in the United States compare with the real…

Muhammed Fraser-Rahim, "America’s Other Muslims" (Lexington Books, 2020)

September 9, 2020

America’s Other Muslims

Muhammed Fraser-Rahim
Hosted by Beth Windisch

• Data records, kept here for reference:
<<<
No. 1
Computed, not measured: PaBi after structural relaxation at the PBE level of DFT.

Output
* formation energy from the elements: -0.02 eV per atom
* density: 11.5 Mg/m³
* DFT total energy: -6.709 eV/atom
* density of states at the Fermi level: 5.709 states/eV/cell

Cell and atoms, written as POSCAR:
```
PaBi
1.0
-1.028 3.905 1.930
-1.993 0.060 4.006
2.264 1.378 3.606
Pa Bi
1 1
Direct
0.000 0.000 0.000
0.500 0.500 0.500
```

=====

No. 2
Computed, not measured: PaBi4 after structural relaxation at the PBE level of DFT.

Output
* formation energy from the elements: 0.13 eV per atom
* density: 10.8 Mg/m³
* DFT total energy: -4.874 eV/atom
* density of states at the Fermi level: 10.440 states/eV/cell

Cell and atoms, written as POSCAR:
```
PaBi4
1.0
-0.931 -5.784 -0.059
3.945 -0.617 -1.760
3.210 -0.643 12.633
Pa Bi
2 8
Direct
0.000 0.000 0.000
0.500 0.500 0.500
0.001 0.611 0.193
0.501 0.889 0.307
0.999 0.389 0.807
0.499 0.111 0.693
0.000 0.779 0.590
0.500 0.721 0.910
0.000 0.221 0.410
0.500 0.279 0.090
```

=====

No. 3
Computed, not measured: Pa3Bi2 after structural relaxation at the PBE level of DFT.

Output
* formation energy from the elements: 0.06 eV per atom
* density: 12.8 Mg/m³
* DFT total energy: -7.190 eV/atom
* density of states at the Fermi level: 40.954 states/eV/cell

Cell and atoms, written as POSCAR:
```
Pa3Bi2
1.0
4.045 0.000 0.000
0.000 11.387 0.000
0.000 0.000 12.540
Pa Bi
12 8
Direct
0.250 0.594 0.569
0.250 0.906 0.069
0.750 0.406 0.431
0.750 0.094 0.931
0.750 0.067 0.647
0.750 0.433 0.147
0.250 0.933 0.353
0.250 0.567 0.853
0.250 0.200 0.732
0.250 0.300 0.232
0.750 0.800 0.268
0.750 0.700 0.768
0.250 0.184 0.473
0.250 0.316 0.973
0.750 0.816 0.527
0.750 0.684 0.027
0.750 0.421 0.693
0.750 0.079 0.193
0.250 0.579 0.307
0.250 0.921 0.807
```

=====

No. 4
Computed, not measured: Pa3Bi after structural relaxation at the PBE level of DFT.

Output
* formation energy from the elements: -0.04 eV per atom
* density: 14.6 Mg/m³
* DFT total energy: -8.132 eV/atom
* density of states at the Fermi level: 7.935 states/eV/cell

Cell and atoms, written as POSCAR:
```
Pa3Bi
1.0
4.669 0.000 0.000
0.000 4.669 0.000
-2.334 -2.334 4.694
Pa Bi
3 1
Direct
0.750 0.250 0.500
0.250 0.750 0.500
0.500 0.500 0.000
0.000 0.000 0.000
```

=====

No. 5
Computed, not measured: Pa2Bi3 after structural relaxation at the PBE level of DFT.

Output
* formation energy from the elements: 0.01 eV per atom
* density: 11.1 Mg/m³
* DFT total energy: -6.121 eV/atom
* density of states at the Fermi level: 6.886 states/eV/cell

Cell and atoms, written as POSCAR:
```
Pa2Bi3
1.0
-4.607 -2.509 1.434
4.622 -1.076 2.656
-1.275 4.696 4.122
Pa Bi
2 3
Direct
0.667 0.333 0.156
0.333 0.667 0.844
0.000 0.000 0.000
0.667 0.333 0.656
0.333 0.667 0.344
```

=====

No. 6
Computed, not measured: PaBi4 after structural relaxation at the PBE level of DFT.

Output
* formation energy from the elements: 0.62 eV per atom
* density: 8.3 Mg/m³
* DFT total energy: -4.386 eV/atom
>>>
• Here the text continues:

America's Other Muslims: Imam W.D. Mohammed, Islamic Reform, and the Making of American Islam explores the oldest and perhaps the most important Musli…

Philip Nash, "Breaking Protocol: America's First Female Ambassadors, 1933-1964" (UP of Kentucky, 2020)

September 1, 2020

Breaking Protocol

Philip Nash
Hosted by Beth Windisch

"It used to be," soon-to-be secretary of state Madeleine K. Albright said in 1996, "that the only way a woman could truly make her foreign policy view…

A. Meleagrou-Hitchens, "Incitement: Anwar al-Awlaki’s Western Jihad" (Harvard UP, 2020)

August 25, 2020


A. Meleagrou-Hitchens
Hosted by Beth Windisch

Anwar al-Awlaki was, according to one of his followers, “the main man who translated jihad into English.” By the time he was killed by an American dro…

Caron Gentry, "Disordered Violence: How Gender, Race and Heteronormativity Structure Terrorism" (Edinburgh UP, 2020)

August 12, 2020

Disordered Violence

Caron Gentry
Hosted by Beth Windisch

In Disordered Violence: How Gender, Race and Heteronormativity Structure Terrorism (Edinburgh University Press, 2020), Caron Gentry looks at how gende…

Daniel P. Aldrich, "Black Wave: How Networks and Governance Shaped Japan’s 3/11 Disasters" (U Chicago Press, 2020)

August 5, 2020

Black Wave

Daniel P. Aldrich
Hosted by Beth Windisch

Despite the devastation caused by the magnitude 9.0 earthquake and 60-foot tsunami that struck Japan in 2011, some 96% of those living and working in …

Evy Poumpouras, "Becoming Bulletproof" (Atria Press, 2020)

July 7, 2020

Becoming Bulletproof

Evy Poumpouras
Hosted by Beth Windisch

Former Secret Service agent and star of Bravo’s Spy Games, Evy Poumpouras, shares lessons learned from protecting presidents, as well insights and ski…

S. Moskalenko and C. McCauley, "Radicalization to Terrorism: What Everyone Needs to Know" (Oxford UP, 2020)

July 6, 2020

Radicalization to Terrorism

Sophia Moskalenko and Clark McCauley
Hosted by Beth Windisch

Terrorism and radicalization came to the forefront of news and politics in the US after the unforgettable attacks of September 11th, 2001. When George…

Kurt Braddock, "Weaponized Words" (Cambridge UP, 2020)

June 9, 2020

Weaponized Words

Kurt Braddock
Hosted by Beth Windisch

Kurt Braddock's new book Weaponized Words: The Strategic Role of Persuasion in Violent Radicalization and Counter-Radicalization (Cambridge University…

Elizabeth A. Stanley, "Widen the Window" (Avery Press, 2020)

May 27, 2020

Widen the Window

Elizabeth A. Stanley
Hosted by Beth Windisch

Stress is our internal response to an experience that our brain perceives as threatening or challenging. Trauma is our response to an experience in wh…

V. Hudson, D. Bowen, P. Nielsen, "The First Political Order: How Sex Shapes Governance and National Security Worldwide" (Columbia UP, 2020)

April 1, 2020

The First Political Order

Valerie M. Hudson, Donna Lee Bowen, and Perpetua Lynne Nielsen
Hosted by Beth Windisch

Global history records an astonishing variety of forms of social organization. Yet almost universally, males subordinate females. How does the relatio…

Joana Cook, "A Woman's Place: US Counterterrorism Since 9/11" (Oxford UP, 2020)

March 24, 2020

A Woman's Place

Joana Cook
Hosted by Beth Windisch

The 9/11 attacks fundamentally transformed how the US approached terrorism, and led to the unprecedented expansion of counterterrorism strategies, pol…

Maria Ryan, "Full Spectrum Dominance: Irregular Warfare and the War on Terror" (Stanford UP, 2019)

March 2, 2020

Full Spectrum Dominance

Maria Ryan
Hosted by Beth Windisch

America's war on terror is widely defined by the Afghanistan and Iraq fronts. Yet, as this book demonstrates, both the international campaign and the …

Magnus Nordenman, "The New Battle for the Atlantic: Emerging Naval Competition with Russia in the Far North" (Naval Institute Press, 2019)

January 17, 2020

The New Battle for the Atlantic

Magnus Nordenman
Hosted by Beth Windisch

In The New Battle for the Atlantic: Emerging Naval Competition with Russia in the Far North (Naval Institute Press, 2019), Magnus Nordenman explores t…

Alice Hill, "Building a Resilient Tomorrow: How to Prepare for the Coming Climate Disruption" (Oxford UP, 2019)

January 10, 2020

Building a Resilient Tomorrow

Alice C. Hill
Hosted by Beth Windisch

Climate change impacts-more heat, drought, extreme rainfall, and stronger storms-have already harmed communities around the globe. Even if the world c…

Jenna Jordan, "Leadership Decapitation: Strategic Targeting of Terrorist Organizations" (Stanford UP, 2019)

January 8, 2020

Leadership Decapitation

Jenna Jordan
Hosted by Beth Windisch

One of the central pillars of US counterterrorism policy is that capturing or killing a terrorist group's leader is effective. Yet this pillar rests m…